**Data:**
+++
This record from the Materials Project describes H16PdC4S4N8Cl2 after structural relaxation. The functional is GGA-PBE.

```
H16PdC4S4N8Cl2
1.0
5.686 8.569 0.000
-5.686 8.569 0.000
0.000 0.367 8.961
H Pd C S N Cl
32 2 8 8 16 4
direct
0.939 0.671 0.635
0.671 0.939 0.135
0.614 0.869 0.830
0.793 0.658 0.731
0.869 0.614 0.330
0.658 0.793 0.231
0.976 0.352 0.680
0.352 0.976 0.180
0.601 0.592 0.551
0.519 0.669 0.720
0.592 0.601 0.051
0.669 0.519 0.220
0.297 0.844 0.725
0.212 0.913 0.555
0.844 0.297 0.225
0.913 0.212 0.055
0.087 0.788 0.945
0.156 0.703 0.775
0.788 0.087 0.445
0.703 0.156 0.275
0.331 0.481 0.780
0.408 0.399 0.949
0.481 0.331 0.280
0.399 0.408 0.449
0.648 0.024 0.820
0.024 0.648 0.320
0.342 0.207 0.769
0.131 0.386 0.670
0.207 0.342 0.269
0.386 0.131 0.170
0.329 0.061 0.865
0.061 0.329 0.365
0.823 0.177 0.750
0.177 0.823 0.250
0.798 0.857 0.717
0.857 0.798 0.217
0.405 0.754 0.534
0.754 0.405 0.034
0.246 0.595 0.966
0.595 0.246 0.466
0.143 0.202 0.783
0.202 0.143 0.283
0.904 0.946 0.656
0.946 0.904 0.156
0.746 0.410 0.840
0.410 0.746 0.340
0.590 0.254 0.660
0.254 0.590 0.160
0.054 0.096 0.844
0.096 0.054 0.344
0.678 0.920 0.793
0.920 0.678 0.293
0.842 0.720 0.687
0.720 0.842 0.187
0.517 0.666 0.607
0.666 0.517 0.107
0.296 0.843 0.611
0.843 0.296 0.111
0.157 0.704 0.889
0.704 0.157 0.389
0.334 0.483 0.893
0.483 0.334 0.393
0.280 0.158 0.813
0.158 0.280 0.313
0.080 0.322 0.707
0.322 0.080 0.207
0.449 0.816 0.942
0.816 0.449 0.442
0.184 0.551 0.558
0.551 0.184 0.058
```

The symmetry is C2/c, No. 15. The formation energy comes out at -392 meV per atom. The energy with MP2020 corrections comes out at -394.06 eV per cell.


This record from the Materials Project describes H16PtC4N2Cl6 after structural relaxation. The functional is GGA-PBE.

```
H16PtC4N2Cl6
1.0
6.509 -3.424 -0.208
1.483 -4.652 -7.164
6.224 4.191 -4.343
H Pt C N Cl
16 1 4 2 6
direct
0.231 0.656 0.656
0.456 0.656 0.656
0.769 0.344 0.344
0.544 0.344 0.344
0.279 0.924 0.519
0.279 0.519 0.924
0.721 0.481 0.076
0.721 0.076 0.481
0.046 0.954 0.710
0.290 0.710 0.954
0.954 0.290 0.046
0.710 0.046 0.290
0.954 0.046 0.290
0.710 0.290 0.046
0.046 0.710 0.954
0.290 0.954 0.710
0.000 0.500 0.500
0.221 0.899 0.659
0.221 0.659 0.899
0.779 0.341 0.101
0.779 0.101 0.341
0.290 0.710 0.710
0.710 0.290 0.290
0.230 0.657 0.343
0.770 0.343 0.657
0.770 0.657 0.343
0.230 0.343 0.657
0.800 0.700 0.700
0.200 0.300 0.300
```

The symmetry is Immm, No. 71. The formation energy comes out at -503 meV per atom. The energy with MP2020 corrections comes out at -139.63 eV per cell.


This record from the Materials Project describes H16PtC4N2Cl6 after structural relaxation. The functional is GGA-PBE.

```
H16PtC4N2Cl6
1.0
4.911 6.397 0.000
-4.911 6.397 0.000
0.000 4.061 6.161
H Pt C N Cl
16 1 4 2 6
direct
0.936 0.504 0.281
0.504 0.936 0.281
0.496 0.064 0.719
0.064 0.496 0.719
0.290 0.032 0.958
0.032 0.290 0.958
0.354 0.354 0.757
0.650 0.650 0.463
0.973 0.714 0.282
0.714 0.973 0.282
0.286 0.027 0.718
0.027 0.286 0.718
0.350 0.350 0.537
0.646 0.646 0.243
0.968 0.710 0.042
0.710 0.968 0.042
0.500 0.500 0.000
0.909 0.656 0.220
0.656 0.909 0.220
0.344 0.091 0.780
0.091 0.344 0.780
0.707 0.707 0.295
0.293 0.293 0.705
0.334 0.664 0.769
0.664 0.334 0.769
0.666 0.336 0.231
0.336 0.666 0.231
0.722 0.722 0.787
0.278 0.278 0.213
```

The symmetry is C2/m, No. 12. The formation energy comes out at -497 meV per atom. The energy with MP2020 corrections comes out at -139.46 eV per cell.


This record from the Materials Project describes ReH12C3S3N6Cl6 after structural relaxation. The functional is GGA-PBE.

```
ReH12C3S3N6Cl6
1.0
-4.804 9.345 -4.323
-14.093 -7.720 -1.028
-4.820 6.277 18.926
Re H C S N Cl
8 96 24 24 48 48
direct
0.697 0.158 0.386
0.197 0.342 0.614
0.303 0.658 0.114
0.803 0.842 0.886
0.303 0.842 0.614
0.803 0.658 0.386
0.697 0.342 0.886
0.197 0.158 0.114
0.561 0.389 0.296
0.061 0.111 0.704
0.439 0.889 0.204
0.939 0.611 0.796
0.439 0.611 0.704
0.939 0.889 0.296
0.561 0.111 0.796
+++

**Wanted:**
What is needed: quote everything earlier on without additions.

**Here it is:**
This record from the Materials Project describes H16PdC4S4N8Cl2 after structural relaxation. The functional is GGA-PBE.

```
H16PdC4S4N8Cl2
1.0
5.686 8.569 0.000
-5.686 8.569 0.000
0.000 0.367 8.961
H Pd C S N Cl
32 2 8 8 16 4
direct
0.939 0.671 0.635
0.671 0.939 0.135
0.614 0.869 0.830
0.793 0.658 0.731
0.869 0.614 0.330
0.658 0.793 0.231
0.976 0.352 0.680
0.352 0.976 0.180
0.601 0.592 0.551
0.519 0.669 0.720
0.592 0.601 0.051
0.669 0.519 0.220
0.297 0.844 0.725
0.212 0.913 0.555
0.844 0.297 0.225
0.913 0.212 0.055
0.087 0.788 0.945
0.156 0.703 0.775
0.788 0.087 0.445
0.703 0.156 0.275
0.331 0.481 0.780
0.408 0.399 0.949
0.481 0.331 0.280
0.399 0.408 0.449
0.648 0.024 0.820
0.024 0.648 0.320
0.342 0.207 0.769
0.131 0.386 0.670
0.207 0.342 0.269
0.386 0.131 0.170
0.329 0.061 0.865
0.061 0.329 0.365
0.823 0.177 0.750
0.177 0.823 0.250
0.798 0.857 0.717
0.857 0.798 0.217
0.405 0.754 0.534
0.754 0.405 0.034
0.246 0.595 0.966
0.595 0.246 0.466
0.143 0.202 0.783
0.202 0.143 0.283
0.904 0.946 0.656
0.946 0.904 0.156
0.746 0.410 0.840
0.410 0.746 0.340
0.590 0.254 0.660
0.254 0.590 0.160
0.054 0.096 0.844
0.096 0.054 0.344
0.678 0.920 0.793
0.920 0.678 0.293
0.842 0.720 0.687
0.720 0.842 0.187
0.517 0.666 0.607
0.666 0.517 0.107
0.296 0.843 0.611
0.843 0.296 0.111
0.157 0.704 0.889
0.704 0.157 0.389
0.334 0.483 0.893
0.483 0.334 0.393
0.280 0.158 0.813
0.158 0.280 0.313
0.080 0.322 0.707
0.322 0.080 0.207
0.449 0.816 0.942
0.816 0.449 0.442
0.184 0.551 0.558
0.551 0.184 0.058
```

The symmetry is C2/c, No. 15. The formation energy comes out at -392 meV per atom. The energy with MP2020 corrections comes out at -394.06 eV per cell.


This record from the Materials Project describes H16PtC4N2Cl6 after structural relaxation. The functional is GGA-PBE.

```
H16PtC4N2Cl6
1.0
6.509 -3.424 -0.208
1.483 -4.652 -7.164
6.224 4.191 -4.343
H Pt C N Cl
16 1 4 2 6
direct
0.231 0.656 0.656
0.456 0.656 0.656
0.769 0.344 0.344
0.544 0.344 0.344
0.279 0.924 0.519
0.279 0.519 0.924
0.721 0.481 0.076
0.721 0.076 0.481
0.046 0.954 0.710
0.290 0.710 0.954
0.954 0.290 0.046
0.710 0.046 0.290
0.954 0.046 0.290
0.710 0.290 0.046
0.046 0.710 0.954
0.290 0.954 0.710
0.000 0.500 0.500
0.221 0.899 0.659
0.221 0.659 0.899
0.779 0.341 0.101
0.779 0.101 0.341
0.290 0.710 0.710
0.710 0.290 0.290
0.230 0.657 0.343
0.770 0.343 0.657
0.770 0.657 0.343
0.230 0.343 0.657
0.800 0.700 0.700
0.200 0.300 0.300
```

The symmetry is Immm, No. 71. The formation energy comes out at -503 meV per atom. The energy with MP2020 corrections comes out at -139.63 eV per cell.


This record from the Materials Project describes H16PtC4N2Cl6 after structural relaxation. The functional is GGA-PBE.

```
H16PtC4N2Cl6
1.0
4.911 6.397 0.000
-4.911 6.397 0.000
0.000 4.061 6.161
H Pt C N Cl
16 1 4 2 6
direct
0.936 0.504 0.281
0.504 0.936 0.281
0.496 0.064 0.719
0.064 0.496 0.719
0.290 0.032 0.958
0.032 0.290 0.958
0.354 0.354 0.757
0.650 0.650 0.463
0.973 0.714 0.282
0.714 0.973 0.282
0.286 0.027 0.718
0.027 0.286 0.718
0.350 0.350 0.537
0.646 0.646 0.243
0.968 0.710 0.042
0.710 0.968 0.042
0.500 0.500 0.000
0.909 0.656 0.220
0.656 0.909 0.220
0.344 0.091 0.780
0.091 0.344 0.780
0.707 0.707 0.295
0.293 0.293 0.705
0.334 0.664 0.769
0.664 0.334 0.769
0.666 0.336 0.231
0.336 0.666 0.231
0.722 0.722 0.787
0.278 0.278 0.213
```

The symmetry is C2/m, No. 12. The formation energy comes out at -497 meV per atom. The energy with MP2020 corrections comes out at -139.46 eV per cell.


This record from the Materials Project describes ReH12C3S3N6Cl6 after structural relaxation. The functional is GGA-PBE.

```
ReH12C3S3N6Cl6
1.0
-4.804 9.345 -4.323
-14.093 -7.720 -1.028
-4.820 6.277 18.926
Re H C S N Cl
8 96 24 24 48 48
direct
0.697 0.158 0.386
0.197 0.342 0.614
0.303 0.658 0.114
0.803 0.842 0.886
0.303 0.842 0.614
0.803 0.658 0.386
0.697 0.342 0.886
0.197 0.158 0.114
0.561 0.389 0.296
0.061 0.111 0.704
0.439 0.889 0.204
0.939 0.611 0.796
0.439 0.611 0.704
0.939 0.889 0.296
0.561 0.111 0.796